-- Exercise --
Could you type out the lines underneath up to the one that holds "0.8479 0.7500", that line included?

-- File --
********
(1)
Computed powder X-ray diffraction pattern of NdDy12Th3 for Cu Kα, from a cell relaxed with PBE.

Largest 8 diffraction maxima, sorted by position, 2θ = 5–70°:
2θ 17.6, rel. 1
2θ 25.0, rel. 1
2θ 30.8, rel. 100
2θ 35.7, rel. 51
2θ 40.1, rel. 1
2θ 51.4, rel. 36
2θ 61.1, rel. 43
2θ 64.2, rel. 12

Crystal structure
a b c (Å): 5.0303 5.0303 20.0894
angles (deg): 90.00 90.00 90.00
Positions (direct):
Nd: 0.0000 0.0000 0.0000
Dy: 0.0000 0.5000 0.1281
Dy: 0.0000 0.5000 0.3759
Dy: 0.0000 0.5000 0.6241
Dy: 0.0000 0.5000 0.8719
Dy: 0.5000 0.0000 0.1281
Dy: 0.5000 0.0000 0.3759
Dy: 0.5000 0.0000 0.6241
Dy: 0.5000 0.0000 0.8719
Dy: 0.5000 0.5000 0.0000
Dy: 0.5000 0.5000 0.2512
Dy: 0.5000 0.5000 0.5000
Dy: 0.5000 0.5000 0.7488
Th: 0.0000 0.0000 0.2515
Th: 0.0000 0.0000 0.5000
Th: 0.0000 0.0000 0.7485

---

(2)
Computed powder X-ray diffraction pattern of TbTiFe4 for Cu Kα, from a cell relaxed with PBE.

Largest 9 diffraction maxima, sorted by position, 2θ = 5–70°:
2θ 21.8, rel. 16
2θ 25.2, rel. 16
2θ 36.0, rel. 45
2θ 42.5, rel. 100
2θ 44.5, rel. 26
2θ 56.9, rel. 4
2θ 58.5, rel. 7
2θ 64.7, rel. 16
2θ 69.2, rel. 30

Crystal structure
a b c (Å): 4.9885 4.9885 4.9885
angles (deg): 60.00 60.00 60.00
Positions (direct):
Tb: 0.0000 0.0000 0.0000
Ti: 0.7500 0.7500 0.7500
Fe: 0.3756 0.3756 0.3756
Fe: 0.3756 0.3756 0.8733
Fe: 0.3756 0.8733 0.3756
Fe: 0.8733 0.3756 0.3756

---

(3)
Computed powder X-ray diffraction pattern of ErCN3 for Cu Kα, from a cell relaxed with PBE.

Largest 10 diffraction maxima, sorted by position, 2θ = 5–70°:
2θ 21.5, rel. 100
2θ 29.4, rel. 25
2θ 31.4, rel. 89
2θ 31.8, rel. 28
2θ 33.5, rel. 17
2θ 34.2, rel. 34
2θ 47.4, rel. 45
2θ 48.7, rel. 38
2θ 50.9, rel. 15
2θ 63.4, rel. 16

Crystal structure
a b c (Å): 6.3145 6.3145 5.6287
angles (deg): 90.00 90.00 148.42
Positions (direct):
Er: 0.1521 0.8479 0.7500
Er: 0.8479 0.1521 0.2500
C: 0.4129 0.5871 0.7500
C: 0.5871 0.4129 0.2500
N: 0.3457 0.6543 0.5599
N: 0.3457 0.6543 0.9401
N: 0.4769 0.5231 0.2500
N: 0.5231 0.4769 0.7500
N: 0.6543 0.3457 0.0599
N: 0.6543 0.3457 0.4401

* * * * *

Starting from a cell relaxed with GGA-PBE, the powder diffractogram of PrCrFeC2 was calculated for Cu Kα (weighted mean of Kα1 and Kα2).

The 10 most intense peaks (15 to 90 degrees two-theta), most intense first:
d (Å), I (rel.)
2.250, 1000
3.346, 850
2.464, 581
2.575, 374
1.769, 288
1.416, 263
1.458, 243
1.437, 201
1.564, 194
1.093, 190

Atomic structure:
Cell lengths 5.726, 5.726, 5.726 Å; angles 144.01, 144.01, 51.81 degrees
Atoms (fractional coordinates):
1 Pr 0.000 0.000 0.000
2 Cr 0.250 0.750 0.500
3 Fe 0.750 0.250 0.500
4 C 0.332 0.332 0.000
5 C 0.668 0.668 0.000

* * * * *

Diffraction record for Pm12RuAu6. The powder diffraction line list is computed, not measured: it uses a crystal structure in Alexandria, relaxed with PBE and Cu Kα, 1.54184 Å.
Neutral-atom scattering factors, no anomalous dispersion.

Structure:
```
data_Pm12RuAu6
_symmetry_space_group_name_H-M 'R -3'
_symmetry_Int_Tables_number 148
_symmetry_space_group_name_Hall '-R 3'
_cell_length_a 12.8718
_cell_length_b 12.8718
_cell_length_c 12.5098
_cell_angle_alpha 90.00
_cell_angle_beta 90.00
_cell_angle_gamma 120.00
loop_
_atom_site_label
_atom_site_fract_x
_atom_site_fract_y
_atom_site_fract_z
_atom_site_occupancy
Pm1 0.0299 0.2102 0.3956 1
Pm2 0.0536 0.2005 0.8826 1
Ru1 0.0000 0.0000 0.0000 1
Au1 0.0479 0.2737 0.6448 1
```

The 10 most intense peaks (2θ = 15–90°), by angle:
h k l, d/Å, I (rel.)
0 0 3, 4.169, 27
2 1 1, 3.993, 95
1 0 4, 3.008, 59
3 1 2, 2.772, 73
2 1 4, 2.511, 100
1 4 0, 2.433, 89
5 -3 2, 2.367, 27
6 -5 2, 1.907, 22
6 -4 4, 1.748, 32
4 5 2, 1.392, 26
********

-- Response --
(1)
Computed powder X-ray diffraction pattern of NdDy12Th3 for Cu Kα, from a cell relaxed with PBE.

Largest 8 diffraction maxima, sorted by position, 2θ = 5–70°:
2θ 17.6, rel. 1
2θ 25.0, rel. 1
2θ 30.8, rel. 100
2θ 35.7, rel. 51
2θ 40.1, rel. 1
2θ 51.4, rel. 36
2θ 61.1, rel. 43
2θ 64.2, rel. 12

Crystal structure
a b c (Å): 5.0303 5.0303 20.0894
angles (deg): 90.00 90.00 90.00
Positions (direct):
Nd: 0.0000 0.0000 0.0000
Dy: 0.0000 0.5000 0.1281
Dy: 0.0000 0.5000 0.3759
Dy: 0.0000 0.5000 0.6241
Dy: 0.0000 0.5000 0.8719
Dy: 0.5000 0.0000 0.1281
Dy: 0.5000 0.0000 0.3759
Dy: 0.5000 0.0000 0.6241
Dy: 0.5000 0.0000 0.8719
Dy: 0.5000 0.5000 0.0000
Dy: 0.5000 0.5000 0.2512
Dy: 0.5000 0.5000 0.5000
Dy: 0.5000 0.5000 0.7488
Th: 0.0000 0.0000 0.2515
Th: 0.0000 0.0000 0.5000
Th: 0.0000 0.0000 0.7485

---

(2)
Computed powder X-ray diffraction pattern of TbTiFe4 for Cu Kα, from a cell relaxed with PBE.

Largest 9 diffraction maxima, sorted by position, 2θ = 5–70°:
2θ 21.8, rel. 16
2θ 25.2, rel. 16
2θ 36.0, rel. 45
2θ 42.5, rel. 100
2θ 44.5, rel. 26
2θ 56.9, rel. 4
2θ 58.5, rel. 7
2θ 64.7, rel. 16
2θ 69.2, rel. 30

Crystal structure
a b c (Å): 4.9885 4.9885 4.9885
angles (deg): 60.00 60.00 60.00
Positions (direct):
Tb: 0.0000 0.0000 0.0000
Ti: 0.7500 0.7500 0.7500
Fe: 0.3756 0.3756 0.3756
Fe: 0.3756 0.3756 0.8733
Fe: 0.3756 0.8733 0.3756
Fe: 0.8733 0.3756 0.3756

---

(3)
Computed powder X-ray diffraction pattern of ErCN3 for Cu Kα, from a cell relaxed with PBE.

Largest 10 diffraction maxima, sorted by position, 2θ = 5–70°:
2θ 21.5, rel. 100
2θ 29.4, rel. 25
2θ 31.4, rel. 89
2θ 31.8, rel. 28
2θ 33.5, rel. 17
2θ 34.2, rel. 34
2θ 47.4, rel. 45
2θ 48.7, rel. 38
2θ 50.9, rel. 15
2θ 63.4, rel. 16

Crystal structure
a b c (Å): 6.3145 6.3145 5.6287
angles (deg): 90.00 90.00 148.42
Positions (direct):
Er: 0.1521 0.8479 0.7500